Thursday, August 4, 2016

Terry Eagleton's Pursuit of Happiness

For notable British academic Terry Eagleton, the fault always lies with capitalism. Well, perhaps not always, but, being a good Marxist Eagleton always seems to attribute social pathologies and even social quirks to what he calls advanced capitalism.

<<<
No. 1
The following is a DFT calculation (SCAN) of a PBEsol-optimized structure of KPd2Pb2.

Cell lengths 4.839, 4.839, 10.721 Å; angles 90.00, 90.00, 90.00 degrees
Space group I4/mmm (No. 139)
Symmetry-distinct sites (fractional):
K 0.000 0.000 0.000 [2 per cell]
Pd 0.000 0.000 0.378 [4 per cell]
Pb 0.000 0.500 0.250 [4 per cell]

Output
- E_tot (eV/atom) = -45.2930
- ΔE_f (meV per atom) = -205.1

---

No. 2
The following is a DFT calculation (SCAN) of a PBEsol-optimized structure of K2Pd2Pb.

Cell lengths 6.938, 6.938, 5.418 Å; angles 90.00, 90.00, 90.00 degrees
Space group P4/mbm (No. 127)
Symmetry-distinct sites (fractional):
K 0.174 0.326 0.000 [4 per cell]
Pd 0.134 0.634 0.500 [4 per cell]
Pb 0.000 0.000 0.500 [2 per cell]

Output
- E_tot (eV/atom) = -31.7408
- ΔE_f (meV per atom) = -143.3

---

No. 3
The following is a DFT calculation (SCAN) of a PBEsol-optimized structure of KPt2Pb2.

Cell lengths 4.894, 4.894, 11.075 Å; angles 90.00, 90.00, 90.00 degrees
Space group I4/mmm (No. 139)
Symmetry-distinct sites (fractional):
K 0.000 0.000 0.000 [2 per cell]
Pt 0.000 0.500 0.250 [4 per cell]
Pb 0.000 0.000 0.355 [4 per cell]

Output
- E_tot (eV/atom) = -60.2935
- ΔE_f (meV per atom) = -238.0

---

No. 4
The following is a DFT calculation (SCAN) of a PBEsol-optimized structure of KPt2Pb.

Cell lengths 2.900, 5.292, 11.136 Å; angles 90.00, 90.00, 90.00 degrees
Space group Imm2 (No. 44)
Symmetry-distinct sites (fractional):
K 0.000 0.000 0.000 [2 per cell]
Pt 0.000 0.000 0.512 [2 per cell]
Pt 0.000 0.500 0.215 [2 per cell]
Pb 0.000 0.500 0.793 [2 per cell]

Output
- E_tot (eV/atom) = -56.1153
- ΔE_f (meV per atom) = 8.7

---

What did the first record say?
The following is a DFT calculation (SCAN) of a PBEsol-optimized structure of KPd2Pb2.

Cell lengths 4.839, 4.839, 10.721 Å; angles 90.00, 90.00, 90.00 degrees
Space group I4/mmm (No. 139)
Symmetry-distinct sites (fractional):
K 0.000 0.000 0.000 [2 per cell]
Pd 0.000 0.000 0.378 [4 per cell]
Pb 0.000 0.500 0.250 [4 per cell]

Output
- E_tot (eV/atom) = -45.2930
- ΔE_f (meV per atom) = -205.1

---

Q: Look up the ΔE_f of the first one.
>>>
The crystal structures stop here:

Eagleton does not bother to mention that Marxist governments, the kind that he would presumably favor, have been an unmitigated disaster. One recalls the body count compiled by the authors of The Black Book of Communism, which is at 100,000,000 and counting. Not only has Communism killed a massive number of people, it caused even more people to starve to death.

When it comes to the production of human misery, Marx’s ideas are up there with the bubonic plague.

Without bothering to look very much more deeply into Eagleton’s relationship with these Marxist political experiments, I am confident that he would renounce them. When you are an ideologue no evidence can disprove your ideas. It’s the whole reason for being an ideologue. I suspect that he would take the standard recourse and suggest the Lenin, Stalin, Mao, Castro and Chavez did not understand Marx well enough and that they would have done better if they had read him.

So, when Eagleton takes out after the current Western pursuit of happiness we need to keep in mind that blaming it on capitalism is an intellectual cop out. If you do not have anything better to offer you should shut up about capitalism. Or better, if the alternatives have been so utterly catastrophic you do best not to blame the world’s ills on capitalism.

It is true enough, as Eagleton notes in his review to a book on The Happiness Industry by one William Davies, that some American corporations are hired happiness officers. It is also true that America is awash in medications that try to engineer happiness. And it is also true, as Eagleton notes, that the current debates over happiness and its sidekick, flourishing, have been muddled almost beyond recognition.

Of course, when Eagleton lumps pragmatic and rational thinkers like Aristotle and Aquinas, the two most consequential philosophers of happiness, with Hegel and Marx, two idealistic ideologues who saw happiness as the consequence of the movement of the World Spirit and the unfolding of some imaginary dialectic, he is muddling the issue even more.

Eagleton’s concern—and it is his primary concern—for issuing a bill of indictment against capitalism blinds him to the more salient point, namely that the cultural movement that has created the mess he identifies is not capitalistic and is not driven by the marketplace. It derives from what I have called the therapy culture, a cultural force that has taken over much of our national conversation, that dictates rules and laws that have nothing to do with capitalism or free enterprise or liberal thought.

Therapy used to be concerned with something called mental health. Since it has not been about to fulfill very many of its promises in that context, and since it has been beaten in the marketplace by drugs, and especially by aerobic conditioning, it has sought out a new market, by selling happiness.

And yet, since it is working to alter the culture, it cannot merely sit back and let invisible hand of the market do its work. It prefers, as we see in political correctness and in multicultural diversity, to monopolize the market, to have total control over the market, to deprive people of their right to free expression and free choice, the better to force everyone to think as they think and to feel as they feel. And maybe even to do as they do.

After all, Marxism, at root, seeks state monopoly control over markets. It refuses to trust the judgment of free individuals. Great Marxist thinkers believe that they can do better than the marketplace or than the collective verdict of the individual decisions of free market participants.

The happiness industry, such as it is, and such as it manifests itself in the media and the academy, seeks to have monopolistic control over the culture. It seeks to prevent people from thinking hateful thoughts and from saying words that might discomfort the citizenry, thus depriving them of happiness. It asks us to sacrifice our freedom in the interest of ensuring everyone’s happiness, but especially the happiness of the disadvantaged. It has been trying to turn cultural life into therapy.

The happiness industry is grounded in ideology. It represents an anti-capitalist cultural movement designed to deprive you of your freedom. As one sees on a daily basis, it certainly aims at depriving you of the will to defend your country and your culture.

One may question whether American corporations are all rushing out to hire happiness offers—I think the point is grossly exaggerated-- but, those that are might feel a need to indulge the mind warp of the delicate snowflakes who have been produced by America’s academic indoctrination mills.

As for selling medications, not as anti-depressants but as happy pills, the psychiatric establishment has always found new and clever ways to market itself.

If one were to be especially honest here one might note that the advent of the new SSRIs seems to have put an end to one of the twentieth century’s greatest con games—psychoanalysis.

When people like Martin Seligman and Aaron Beck invented and promoted cognitive psychology they placed an emphasis on positive psychology. Beck, for example, began using cognitive techniques to treat depression because he understood well that Freudian treatments—with their echt tragic worldview—were producing more depression than they were curing.

And Freudian psychoanalysis, for those who have an idea of what it is really about, aims to subvert the values associated with Anglo-American civilization. Most serious psychoanalytic thinkers have always been on the radical left. They have never been champions of free enterprise. Anyone who thinks that Freudian free association can be correlated with a right to free speech knows nothing about Freud. As Lacan famously noted, the whole point of free association is to persuade you that your associations are not free. Freud did not believe in free will, any more than Marx did.

Of course, Eagleton finds much to like in the current cultural ethos, especially the one that demeans the value of competition. He seems to side with those who believe that everyone should receive a trophy, that there are no winners and losers, and thus that no one has any reason to try to improve his performance. Thus, he supports the narcissistic self-esteem movement, as he seems not to think very highly of it.

If you are a Marxist you certainly do not want to think that Marxist states have lost out in competition to their capitalistic competitors. And, the competition was not even close.

Eagleton uses a classical scientistic ploy: he says that a competitive ethos makes people sick. Of course, the Marxist cultures where people were not supposed to be competing over anything—since private property was verboten—produced mass starvation and misery on a scale that we had not seen for millennia.

As Eagleton and Davies see it, capitalism has co-opted the therapy culture and is using it for its own ends. Thereby they are indulging an ideational relic of 1960s countercultural thinking. It might just as well be the case that that capitalism, in embracing the values of the therapy culture, has allowed a Trojan Horse into its midst.

Eagleton has not missed the point entirely. If you strip away his obsession with provoking an overthrow of capitalism—which makes his thinking sound like a sore-loser’s lament—he grasps an important point about where the therapy culture has gone wrong:

What matters in the narcissistic world of late capitalism is not what you think or do but how you feel. And since how you feel can’t be argued against, it is conveniently insulated from all debate. Men and women can now stroll around in continuous self-monitoring mode, using apps to track their changes of mood. The brutal, domineering ego of an older style of capitalism has given way to the tender self-obsession of the new. 

If, in place of the drivel about “the narcissistic world of late capitalism” you substitute the therapy culture and its avatars, you would have a sound and sensible observation.

The truth, however, is that these products of our current therapy culture are not likely to make employees more competitive. Having grown up on this culture, people become less able to compete effectively against their peers in advance capitalistic cultures like Singapore and China. By the by, these countries did not enhance their prosperity and feed their people by listening to the Marxist laments of a Terry Eagleton.

We gain happiness, Eagleton correctly tells us, when we act in the world. Happiness is not a state of mind or a condition of human feeling. And yet, how do we measure success or failure in our activities if we cannot compete against others?

Happiness is bound up with our activity, rather than being a private mental state. We are practical agents, not walking states of consciousness. …. happiness is not an entirely subjective affair. You can believe that you are happy but be the victim of self-deception. Neither, however, is it objective in the sense of being a patch of stuff in the brain, as some neuroscientists seem to imagine. What they forget, as Davies asserts, is that “mental processes” are bound up with the actions of human beings embedded in social relations, guided by purposes and intentions which need to be interpreted.

It would correct to say that by participating in the free market, even in the everyday exchanges that constitute our social relations, we gain a s sense of belonging to a community and a sense of achievement. These, put us on the royal road to happiness.


  1. "Happiness is bound up with our activity, rather than being a private mental state. We are practical agents, not walking states of consciousness. …. happiness is not an entirely subjective affair. You can believe that you are happy but be the victim of self-deception."

    Well, if you can always accuse a happy person of not really being happy, but just thinking he is, then anything goes as an explanation for happiness, doesn't it?

    Happy is as happy does.


  3. The U.S. declaration of independence offers its own ideology with this conviction: "We hold these truths to be self-evident, that all men are created equal, that they are endowed by their Creator with certain unalienable Rights, that among these are Life, Liberty and the pursuit of Happiness.",_Liberty_and_the_pursuit_of_Happiness

    At the time apparently "men" were defined as male land-owners, but it was a radical stepping away from the authority of a divine sovereign kings who had by birthright alone, power over all other men. And modern individualism and capitalism would seem to be the offspring of this radical step forward, even if both of these are dependent upon agreed upon limits to individual freedom, and required state power of law to rule upon private contracts between individuals.

    Happiness is certainly a subjective experience. Some might say that Happiness is freedom from suffering, while suffering may be necessary to encourage action to change an oppressive situation. So then you could say Liberty is about having the power to avoid suffering, but your avoidance of suffering may yet cause suffering to others.

    And so there's a predicament of individualism when there is an unequal power and liberty to change circumstances, and so those who have the power to isolate from the suffering of others can excuse their avoidance on the merit principle that all men are created equal, so if others are not in good situations, its their problem to get out, nothing to do with you.

    It is certainly hard to argue against individual agency, since it is essential to life, and certainly brings happiness, while having laws that limit your agency could be said to bring suffering, at least in the short term, even if this authoritarianism enables greater liberty later, like mandatory education. And all governmental authority over individual freedom could be said to be paternal, acting over the individual at times until rules of conduct are internalized.

    Finally in regards to the "evils" of therapy and the apparent tyranny of feelings, I saw this article recently, about dissociation, as a helpful defense mechanism for the short term, including allowing us the power to manage our emotions long enough to compete and stand up for ourselves, but also self and other alienating when it dominates.
    Dissociation is a way people, to varying degrees, disconnect from their thoughts and feelings in order to avoid pain or traumatic memories. It is a refuge of sorts into an altered state of mind that is often characterized by obsessive thoughts, fantasies, or even non-thinking states. It can be employed consciously or unconsciously as a defense mechanism and can range in intensity from mild daydreams to feeling separate from one’s body.

    Although dissociation can be an effective short-term strategy for pain management, it often wreaks havoc on relationships.

____________
[1]
V2NiPd4 | Alexandria | PBE | optimized geometry; M_tot = 0.0 μB per formula unit; mass density = 9.49 Mg/m³; total DFT energy (no corrections) = -6.431 eV per atom
1.0
6.290 0.000 -0.485
0.000 5.035 0.000
-2.905 0.000 6.700
V Ni Pd
4 2 8
Direct
0.810 0.750 0.020
0.190 0.250 0.980
0.436 0.250 0.474
0.564 0.750 0.526
0.227 0.750 0.171
0.773 0.250 0.829
0.598 0.499 0.216
0.001 0.750 0.779
0.999 0.250 0.221
0.598 0.001 0.216
0.935 0.250 0.575
0.402 0.999 0.784
0.402 0.501 0.784
0.065 0.750 0.425


[2]
VNi2Pd | Alexandria | PBE | optimized geometry; M_tot = 1.2 μB per formula unit; mass density = 9.07 Mg/m³; total DFT energy (no corrections) = -6.612 eV per atom
1.0
3.645 0.000 0.000
0.000 3.715 0.000
0.000 0.000 3.715
Ni Pd V
2 1 1
Direct
0.000 0.000 0.500
0.000 0.500 0.000
0.500 0.000 0.000
0.500 0.500 0.500


[3]
VZnNiPd | Alexandria | PBE | optimized geometry; M_tot = 1.0 μB per formula unit; mass density = 8.67 Mg/m³; total DFT energy (no corrections) = -5.496 eV per atom
1.0
-2.562 -2.020 -2.707
-0.669 -4.165 0.422
-3.774 -1.418 1.311
Ni Zn Pd V
1 1 1 1
Direct
0.750 0.750 0.750
0.000 0.000 0.000
0.250 0.250 0.250
0.500 0.500 0.500


[4]
Ni3Pd2W | Alexandria | PBE | optimized geometry; M_tot = 0.0 μB per formula unit; mass density = 11.99 Mg/m³; total DFT energy (no corrections) = -6.820 eV per atom
1.0
3.706 0.000 -0.955
-0.655 6.818 -2.540
-0.203 -1.371 6.877
Ni Pd W
6 4 2
Direct
0.500 0.250 0.000
0.500 0.750 0.000
0.159 0.409 0.317
0.841 0.091 0.683
0.841 0.591 0.683
0.159 0.909 0.317
0.662 0.662 0.323
0.338 0.838 0.677
0.662 0.162 0.323
0.338 0.338 0.677
0.000 0.500 0.000
0.000 0.000 0.000


[5]
Ni2PdW2 | Alexandria | PBE | optimized geometry; M_tot = 0.0 μB per formula unit; mass density = 14.04 Mg/m³; total DFT energy (no corrections) = -8.406 eV per atom
1.0
7.157 0.000 0.000
0.000 7.157 0.000
0.000 0.000 2.731
Ni Pd W
4 2 4
Direct
0.378 0.878 0.000
0.878 0.622 0.000
0.622 0.122 0.000
0.122 0.378 0.000
0.000 0.000 0.000
0.500 0.500 0.000
0.173 0.673 0.500
0.673 0.827 0.500
0.827 0.327 0.500
0.327 0.173 0.500


[6]
NiPd2W | Alexandria | PBE | optimized geometry; M_tot = 0.0 μB per formula unit; mass density = 13.12 Mg/m³; total DFT energy (no corrections) = -7.110 eV per atom
1.0
-0.193 -1.715 3.978
2.510 -3.383 1.026
3.316 0.515 2.746
Ni Pd W
1 2 1
Direct
0.750 0.750 0.750
0.000 0.000 0.000
0.250 0.250 0.250
0.500 0.500 0.500


[7]
Ni4PdW | Alexandria | PBE | optimized geometry; M_tot = 0.0 μB per formula unit; mass density = 11.71 Mg/m³; total DFT energy (no corrections) = -6.886 eV per atom
1.0
4.413 0.775 -0.011
-1.416 4.099 1.111
-0.019 0.116 7.791
Ni Pd W
8 2 2
Direct
0.995 0.500 0.165
0.505 0.500 0.335
0.005 0.500 0.835
0.495 0.500 0.665
0.249 0.000 0.583
0.251 0.000 0.917
0.751 0.000 0.417
0.749 0.000 0.083
0.250 0.000 0.250
0.750 0.000 0.750
0.500 0.500 0.000
0.000 0.500 0.500


[8]
____________
[Back to the piece]

    So you could say disassociation is a strategy in our "Pursuit of happiness", but if it is simply an avoidance of our problems, then you're actually putting yourself in a passive state, one where problems are not addressed, and "triggers" that remind you of this bring you regularly back to unhappiness, and push for new levels of distraction.

    So I accept that simplistic ideals of individual freedom and capitalism/consumerism reward the lowest levels of happiness, encouraging the most base pleasures, and fail to encourage maturity needed to Life and finding true liberty that isn't dependent upon avoiding things that threaten your self-identity.

# Next to the page, the page also holds calculated crystals
/*
DyHo2Lu | GGA-PBE | optimized geometry

As for the symmetry: Cmcm, No. 63. The calculation puts the total magnetization at 0.13 μB/f.u. Its formation enthalpy at 0 K is 1 meV per atom. The calculation puts the volume at 30.7 Å³/atom.

Cell lengths 7.138, 7.138, 5.565 Å; angles 90.00, 90.00, 120.00 degrees
Fractional coordinates of all 8 atoms:
Ho  0.834  0.668  0.750
Ho  0.668  0.834  0.250
Ho  0.166  0.332  0.250
Ho  0.332  0.166  0.750
Dy  0.667  0.333  0.250
Dy  0.333  0.667  0.750
Lu  0.166  0.834  0.250
Lu  0.834  0.166  0.750

=====

No. 1
## Mg2CoP (GGA-PBEsol)

Data for Mg2CoP after structural relaxation.

## Properties
For the calculated volume, the calculation gives 15.47 Å³/atom. As for the formation energy: -247 meV/atom. The calculation puts the total DFT energy (no corrections) at -17.95 eV per cell. As for the space-group type: P4mm.

Structure (POSCAR):
```
Mg2CoP
1.0
2.959 0.000 0.000
0.000 2.959 0.000
0.000 0.000 7.070
Co P Mg
1 1 2
Cartesian
1.479 1.479 4.856 Co
0.000 0.000 3.985 P
0.000 0.000 6.740 Mg
1.479 1.479 2.094 Mg
```

No. 2
## Mg2Co2P (GGA-PBEsol)

Data for Mg2Co2P after structural relaxation.

## Properties
For the calculated volume, the calculation gives 13.57 Å³/atom. As for the formation energy: -314 meV/atom. The calculation puts the total DFT energy (no corrections) at -52.54 eV per cell. As for the space-group type: P4/mbm.

Structure (POSCAR):
```
Mg2Co2P
1.0
-1.558 0.753 3.845
3.996 -3.324 2.270
3.437 4.482 0.515
Mg Co P
4 4 2
Cartesian
4.749 1.882 3.868 Mg
2.191 2.812 2.649 Mg
1.124 0.029 2.762 Mg
3.683 -0.902 3.981 Mg
3.111 -1.489 1.552 Co
5.630 0.086 2.265 Co
4.321 2.647 1.233 Co
1.802 1.072 0.521 Co
3.716 0.579 1.393 P
0.000 0.000 0.000 P
```

No. 3
## MgCo2P (GGA-PBEsol)

Data for MgCo2P after structural relaxation.

## Properties
For the calculated volume, the calculation gives 11.89 Å³/atom. As for the formation energy: -159 meV/atom. The calculation puts the total DFT energy (no corrections) at -23.62 eV per cell. As for the space-group type: Imm2.

Structure (POSCAR):
```
MgCo2P
1.0
2.847 0.000 0.000
0.000 3.809 0.000
-1.423 -1.905 4.384
Co Mg P
2 1 1
Cartesian
1.423 0.000 2.097 Co
1.423 1.905 4.050 Co
1.423 1.905 0.166 Mg
0.000 1.905 2.455 P
```

No. 4
## MgCo2P (GGA-PBEsol)

Data for MgCo2P after structural relaxation.

## Properties
For the calculated volume, the calculation gives 12.48 Å³/atom. As for the formation energy: -132 meV/atom. The calculation puts the total DFT energy (no corrections) at -23.51 eV per cell. As for the space-group type: Pmm2.

Structure (POSCAR):
```
MgCo2P
1.0
2.805 0.000 0.000
0.000 3.168 0.000
0.000 0.000 5.617
Co Mg P
2 1 1
Cartesian
1.403 1.584 1.209 Co
0.000 0.000 5.455 Co
0.000 0.000 2.758 Mg
1.403 1.584 4.620 P
```

No. 5
## Mg2CoPb2 (GGA-PBEsol)

Data for Mg2CoPb2 after structural relaxation.

## Properties
*/

  4. Ares, the key word in that passage from the Declaration of Independence is PURSUIT of happiness. And all the relationship between capitalism and our therapeutic culture was addressed over forty years ago by Daniel Bell in "The Cultural Contradictions of Capitalism."

    All this, of course, has been exacerbated by the ascendancy of cunt to power in our economic, government, and academic institutions. When we are on the verge of electing the first cunt president, one who say we have to empathize with our enemies, it is hard to see how the US will be able to maintain any kind of disciplined economy or remain a serious world power.
